Wednesday, September 17, 2014

What's the Opposite of a Waste of Time?

Today was… a day. It started with me dragging a groggy five going-on-fifteen year old out of bed to get ready for Bible Study Fellowship. (If you've ever attended Bible Study Fellowship, the running gag is that you started going to get someone to stop harassing you about trying it. Personally, I go because I get to see my mom and there’s usually lunch involved afterwards. And also, it’s a challenging, in-depth study of God’s word and they have a great kids program. And again, I get out of preparing lunch.)

So after I finally get both of my kids in the upright position with breakfast in front of them (multigrain cheerios ‘cause I’m MOM OF THE YEAR. But please, hold your applause...) I make a foolhardy attempt to leave the room to apply a teensy bit of makeup to the bags under my eyes and lament the death of my hairdryer as I wrestle my hopeless hair into half a ponytail. As I begin the pre-church-event pep talk (God doesn't care what we look like, it doesn't matter what people think, etc.) I’m interrupted by shouts from my two-year-old, admonishing the dog for stealing all of his O’s. He gets a peanut butter, chocolate chip granola bar as a replacement breakfast. (Seriously, where do I pick up my trophy?) Then I explain to my five-year-old that cheerios aren't a food we eat individually, please put MORE THAN ONE ON THE SPOON BECAUSE WE HAVE TO LEAVE IN 10 MINUTES AND MOMMY IS LOUD BECAUSE SHE LOVES YOU AND DOESN'T WANT YOU TO BE HUNGRY OR THE ONLY KID WEARING PAJAMAS TO BIBLE STUDY.

Deep breath.

Make coffee.

Spend 10 minutes getting kids dressed, brushed, shoed, and ushered into the car with toys for them to fuss over and then realize while sitting in middle school drop off traffic (thank God I don’t work anymore?) that the coffee is sitting in a pretty Polish pottery mug on the Keurig.


The best part of BSF is that I get to drop off the kids in a loving, safe environment where they have fun singing hymns and learning the same Bible lessons that I do. I get to refocus my crazy day with two songs and a prayer, and spend time in fellowship with other women who have been learning about the amazing beginning to the life of Moses throughout the week. I get to listen to a teacher clarify what we've studied and apply it to our lives. And when I pick my kids up, I’m not loud-mommy anymore.

I got to read this while I was getting my car washed last week.  That's a big deal.

What comes next are calculated molecules, not part of the page:
********
Entry 1:
This record from OMol25 describes C23H50AlCl16NO2PS as an isolated structure. The level of theory is wB97M-V/def2-TZVPD.

```
! wB97M-V def2-TZVPD RIJCOSX def2/J DEFGRID3
* xyz -1 1
Cl -5.5754 3.9925 -1.2288
Cl -3.5380 -1.5679 1.0324
Cl 6.6871 -7.1713 -7.5496
Cl -10.0351 0.8421 -8.5749
Cl 2.3361 -5.3289 0.4376
Cl 1.8282 -2.4284 8.2851
Cl -0.8539 3.5058 1.8389
Cl -8.0011 4.0621 -3.6089
Cl 3.5143 -4.0862 5.8560
Cl 4.5707 -6.3932 -1.8780
Cl 1.1254 0.3554 6.1359
Cl -0.2350 -2.2365 1.5755
Cl -8.0012 1.1189 -5.8521
Cl 1.3854 3.0855 4.2992
Cl 8.6807 -7.0932 -4.7865
Cl -2.0702 1.5961 6.2966
S 2.2380 -1.6482 -0.9791
P 0.5628 -1.0490 -1.8747
Al -0.0731 1.1101 -0.9911
O 6.4469 2.3899 -1.6275
O 4.3525 1.7108 -1.1022
N -3.6994 1.9290 -3.1503
C 3.5842 -2.7185 8.2180
C -0.9161 4.2573 3.4510
C -2.6995 1.2225 -2.3086
C 1.5643 2.1929 -0.5595
C -1.0371 1.0880 7.6565
C -1.4243 2.0369 -2.1746
C 6.9929 -6.5221 -4.9073
C -9.6537 1.7540 -6.0222
C 3.4645 1.9666 -2.2072
C 2.2981 2.7986 -1.7588
C -10.5287 0.8597 -6.8611
C 4.1001 -2.6957 6.8021
C 0.4730 4.5751 3.9443
C -1.3352 -1.3770 2.6668
C 0.4209 1.3726 7.4098
C 4.1014 -5.3239 0.5975
C -6.6475 5.3570 -1.6166
C 6.1745 -7.3616 -5.8497
C 5.6276 1.4929 -1.4934
C -8.0199 4.8984 -2.0344
C 5.9829 0.0542 -1.7265
C 4.7703 -5.0427 -0.7213
C -2.7440 -1.9110 2.5934
H 0.5811 2.4110 7.1271
H -1.2097 0.0289 7.8297
H 1.2356 3.0067 0.0739
H 7.0145 -5.4817 -5.2189
H -3.3519 -1.4418 3.3638
H -8.6780 5.7594 -2.1395
H 6.5704 -0.0352 -2.6281
H 0.4304 5.1520 4.8678
H 3.7983 -1.7880 6.2860
H 5.1135 -0.5840 -1.8006
H 3.7859 -3.6718 8.6988
H 4.3653 -4.1446 -1.1830
H -1.7198 2.9759 -1.7093
H 2.2328 1.6045 0.0573
H -11.5550 1.2213 -6.8316
H -0.8410 0.7724 0.3938
H 2.6766 3.7873 -1.5050
H -1.4320 3.5832 4.1297
H 6.2421 -8.4165 -5.5998
H 1.6471 2.9325 -2.6180
H -10.0681 1.8303 -5.0182
H 4.0187 2.5094 -2.9684
H 5.8411 -4.9119 -0.5736
H 5.1874 -2.7497 6.8102
H -1.3732 1.6451 8.5294
H 4.3547 -4.5316 1.3004
H 1.0257 5.1454 3.2023
H 4.4143 -6.2776 1.0158
H -9.5864 2.7528 -6.4451
H 0.7107 -0.9279 -3.2783
H -2.7620 -2.9882 2.7401
H -4.1390 2.6385 -2.5810
H 6.5648 -6.5768 -3.9091
H -0.9558 -1.5103 3.6783
H -1.2897 -0.3192 2.4119
H -6.7275 5.9663 -0.7177
H -0.4694 -1.9820 -1.6421
H -1.0862 2.2344 -3.1895
H -6.1713 5.9466 -2.3954
H -10.5074 -0.1644 -6.4993
H 4.0605 -1.9274 8.7945
H -8.4476 4.2186 -1.3026
H 5.1322 -7.0541 -5.7951
H -2.5084 0.2601 -2.7700
H -4.4208 1.2930 -3.4613
H -1.4957 5.1759 3.3614
H -3.1064 1.0750 -1.3101
H 0.9823 1.1664 8.3206
H 6.5995 -0.3054 -0.9139
H 3.1223 1.0280 -2.6397
*
```

Computed properties:
* F_max: 1.54 eV/A
* energy above the lowest of the compared OMol25 structures with the same formula, charge and spin: 8.4 kcal per mole
* frontier orbital gap: 6.12 eV

---

Entry 2:
This record from OMol25 describes C7H11NO as an isolated structure. The level of theory is wB97M-V/def2-TZVPD.

```
! wB97M-V def2-TZVPD RIJCOSX def2/J DEFGRID3
* xyz 0 1
O 1.3663 -1.8629 0.3584
N -0.6099 -0.4852 -2.0760
C 0.7984 -0.8247 0.0149
********

I had a headache all day.  It would have been easier to stay home, put Netflix on and start unofficial pajama day at school around 11 am after my mid-morning fika. But if you watch the news at all, you’ll realize what a BIG, GIANT, ENORMOUS deal it is that we live where we can publicly meet fellow believers with Bibles in hand to freely worship God. It isn't something I can take for granted. If you’re interested in trying a Bible study, you can check out their website, or let me know. I might even buy you lunch


  1. Love you. You're one of my favorites. I kind of want to be like you when I grow up.

  2. Oh, you're so sweet! I could definitely say the same thing about you!
